We're Back, Now What?

"Gabe..." said Oswin.

"Oswin!" I said, shaking him.

"What happened?" he said.

"Well, I think we both came back." I told him.

"Oh, thank God." he said, "I was worried that I might to be able to-"

"What is it?" I asked after he paused, "Is there something on my face?"

"You're still a girl." replied Oswin.

"Is there something wrong with that?" I asked.

"I wanted things back to normal." he said, "I wanted you do to be Gabe again."

"Sorry." I said, "But I can't be Gabe anymore."

"Now that we're back, what should we do?" asked Oswin.

"That's a good question."

"We can't exactly send you back home. Your parents would freak out."

"Yeah, they'd be surprised to see their dead kid back."

"I think they'd have something else to be surprised about."

"What are you talking about?"

"It's nothing. Never mind."

The two of us got ourselves up off of the ground and started walking around the neighborhood. It felt very nostalgic, being able to talk with Oswin like this again and in the world I used to live too. But I did have to wonder: how did I even manage to travel back with him? I knew I wasn't going to be able to stay here. I had to get back home after all. I figured Rose had to be extremely worried.

But since I was here, I did wonder how Mary was doing. What I didn't know was how she'd react, if she saw me like this. Would she even recognize me? Oswin definitely didn't. I did tell them I wanted them to just continue living their lives after I passed instead of just worrying about me all the time, but it looks like, they weren't ready to move on. After a while of walking, we encountered Mary.

I wondered what she was going to say when she saw the two of us together. Would she ask who I was? Would she think the two of us were dating? Would she comment on my hair and eyes? I felt kind of worried about what was going to happen next.

"G-Gabe!?" she exclaimed.

"H-huh?" I responded.

"What are you wearing?" asked Mary, "Did you get into crossdressing in the other world or something?"

"You seem to be taking this pretty well, considering Gabe's supposed to be y'know... dead." said Oswin.

"You didn't put him up to this, did you?" asked Mary, "You didn't get so desperate for a girlfriend that you had your best friend dress up like a girl, did you?"

"I didn't do anything like that." said Oswin.

"But still, I've missed you so much." she said.

"Uh, yeah, sorry to to have worried you so much." I said.

This record from the OMol25 dataset describes a molecular structure, C10H20ClEuSc in a non-equilibrium geometry. The level of theory is ωB97M-V/def2-TZVPD.

Geometry (Å):
Eu  -1.840866  -2.134112  -0.613379
Cl  -0.555266  -0.761969  -1.969729
C  -3.621116  -1.344855  -0.940925
C  -1.041869  -3.844769  -1.209567
H  -4.321206  -2.180603  -0.812033
H  -3.848288  -0.564617  -0.211292
H  -3.708898  -0.948405  -1.953759
H  -1.834021  -4.588839  -1.054900
H  -0.170532  -4.111598  -0.606578
H  -0.769532  -3.818018  -2.266402
Sc  0.007351  0.032630  0.036060
C  2.058283  0.041695  0.351654
C  -0.924597  -1.462881  1.010939
H  2.277240  -0.618976  1.192932
H  2.602770  -0.250346  -0.546968
H  2.367813  1.081671  0.634209
H  -0.366011  -2.252356  1.474505
H  -1.700584  -0.967348  1.609450
C  2.879201  4.129371  2.259491
C  2.238253  4.168700  0.854171
C  1.219951  5.323889  0.783892
C  3.340974  4.386245  -0.205966
C  1.538955  2.881483  0.589100
C  0.937145  1.784537  0.360866
H  3.402816  5.078429  2.480840
H  3.609557  3.305361  2.324070
H  2.103902  3.971554  3.027242
H  1.712308  6.296395  0.977617
H  0.754883  5.362473  -0.214467
H  0.427014  5.179912  1.535581
H  4.076051  3.564900  -0.167688
H  2.898439  4.413847  -1.215354
H  3.873319  5.340164  -0.031088

Atoms 1-2, force components in eV/Å:
Eu -1.168 -2.467 0.900
Cl 2.021 1.973 -5.631

## Properties
* total charge: -1
* 2S+1: 7
* LUMO energy (alpha / beta): 2.69 / 2.69 eV
* DFT total energy: -2323.8098 hartree
* gap between HOMO and LUMO (alpha / beta): 5.97 / 5.92 eV

=====

This record from the OMol25 dataset describes 2 unconnected molecules or ions with the total composition C10H20N in a non-equilibrium geometry. The level of theory is ωB97M-V/def2-TZVPD.

Geometry (Å):
C  0.068370  3.764422  0.297634
C  1.484238  0.973100  1.706969
C  -0.351949  2.279131  0.440282
C  0.470626  1.461859  0.994740
C  0.637780  0.643906  -2.519464
C  -0.981245  -1.676654  1.782713
C  -0.319994  -3.134716  0.074581
C  0.908286  -0.406943  -1.447184
C  0.098055  -1.726670  0.651125
C  -0.155214  -0.701525  -0.382296
N  -1.453733  -0.492552  -0.652043
H  -0.853314  4.447484  0.337523
H  0.621774  4.200443  1.036497
H  2.188363  0.301443  1.385445
H  1.448726  1.177795  2.715843
H  -1.409999  1.941453  0.064587
H  -0.179027  0.308126  -3.161404
H  1.622182  0.722847  -2.874802
H  0.265241  1.590759  -1.885762
H  -1.190949  -0.682075  1.878139
H  -0.652361  -1.988729  2.649066
H  -1.939300  -2.187384  1.590553
H  -1.124953  -3.157209  -0.586251
H  0.559298  -3.502777  -0.665876
H  -0.411282  -3.968226  0.756412
H  1.821246  -0.344130  -0.783859
H  1.239282  -1.292556  -2.022736
H  1.076662  -1.599195  0.934974
H  0.491738  3.927775  -0.631715
H  -2.260597  -0.696000  -0.099991
H  -1.717951  -0.183202  -1.583700

Atoms 1-2, force components in eV/Å:
C -4.583 -0.459 -0.564
C -3.084 1.191 -1.452

## Properties
* relative energy (zero: lowest compared OMol25 entry of this formula, charge and spin): 274.5 kJ/mol
_The entry goes on_

Then she ran over and started hugging me.

"Gah, too tight!" I exclaimed.

"Wait." she said, "Something doesn't feel right."

She let go of me and then touched my chest.

"S-stop it!" I said.

"What are you doing!?" exclaimed Oswin.

"Why do these feel so real?" asked Mary.

"Probably because they are." said Oswin.

"Please let go of me." I requested.

"Fine." said Mary, "Oswin. Explain this."

"Well, I don't really know how it happened," said Oswin, "but after Gabe died, he was reborn as a girl."

"That doesn't make any sense!" said Mary.

"Ask Gabe- er, Nova to prove it to you if you're not convinced." suggested Oswin.

"Even if the person I am looking at is really a girl, then how do I know that she's not just a long lost sister of his?" asked Mary.

So, I decided to tell her some things that only we should know.

"How do I know Oswin didn't tell you that?" she said.

"Fine, I guess I'll tell you some things that only the two of us should know." I said.

So, I told Mary some things from the times it was just me and her, without Oswin. That seemed to convince her.

"No way." she said, "So you really did-"

"That's what we've been saying." I said.

"However," said Oswin, "I still want to get him back to the way he was."

"Guys," I said, "I know you're worried and all but I'm actually kind of happy with my current life."

"How can you say that!?" exclaimed Mary, "You left us behind. Remember!?"

"But if I come back to you guys, I'll be leaving even more people behind!" I said, "I don't want to put even more people through that!"

The three of us ended up arguing for a little while but the conversation soon changed because we were going to need to figure out somewhere to stay while I stayed here. That, and we needed to figure out how I was going to get back home.

"Well, I could probably let you stay with my aunt." said Mary.

"But if she sent Oswin to my world." I said, "Couldn't she send me there."

"Her dimensional transport magic takes a while to recharge." said Mary.

"Good lord," I said, "sounds like the author made that up to cover up a plothole."

"What are you talking about?" asked Oswin.

"It's nothing." I said.

The three of us continued walking and everything was going fine until we ran into my parents.

"Gabe? Is that you?" my mother said.